**Brief:**
Duplicate the whole of the entries further below verbatim.

**Source:**
A plane-wave DFT calculation with meta-GGA r2SCAN was carried out for a relaxed structure of Tm6GaCo2.

a = 8.094 Å, b = 8.094 Å, c = 8.094 Å
α = 111.91°, β = 109.30°, γ = 107.23°
Atoms (fractional coordinates):
Tm (0.040, 0.238, 0.802)
Tm (0.181, 0.281, 0.462)
Tm (0.181, 0.719, 0.900)
Tm (0.327, 0.015, 0.688)
Tm (0.327, 0.639, 0.312)
Tm (0.436, 0.238, 0.198)
Tm (0.564, 0.762, 0.802)
Tm (0.673, 0.361, 0.688)
Tm (0.673, 0.985, 0.312)
Tm (0.819, 0.281, 0.100)
Tm (0.819, 0.719, 0.538)
Tm (0.960, 0.762, 0.198)
Ga (0.000, 0.000, 0.000)
Ga (0.500, 0.500, 0.000)
Co (0.115, 0.615, 0.500)
Co (0.339, 0.000, 0.339)
Co (0.661, 0.000, 0.661)
Co (0.885, 0.385, 0.500)

Properties
Uncorrected energy in eV for the cell shown: -502.47
Spin magnetization in μB/cell: 0.0
Formation energy from the elements in meV/atom: -288.9

----------

Below is an optimized crystal structure of Gd2CdSe4, with properties calculated at the GGA-PBE level.

Lattice parameters (Å, degrees): 8.705 8.705 9.079 90.00 90.00 90.00
Space group I-42d (No. 122)
Symmetry-distinct sites (fractional):
1 Gd 0.135 0.250 0.125 (multiplicity 8)
2 Cd 0.000 0.000 0.500 (multiplicity 4)
3 Se 0.068 0.192 0.814 (multiplicity 16)

## Properties
* spin magnetization: 14.000 μB per formula unit
* crystal system: tetragonal

Below is an optimized crystal structure of Na7Zn2SiSn2P5O24, with properties calculated at the GGA-PBE level.

Lattice parameters (Å, degrees): 9.047 9.050 22.102 89.79 89.60 60.01
Space group P1 (No. 1)
Symmetry-distinct sites (fractional):
1 Na 0.000 0.000 0.000 (multiplicity 1)
2 Na 0.002 0.658 0.498 (multiplicity 1)
3 Na 0.263 0.398 0.998 (multiplicity 1)
4 Na 0.265 0.012 0.497 (multiplicity 1)
5 Na 0.283 0.323 0.333 (multiplicity 1)
6 Na 0.283 0.691 0.579 (multiplicity 1)
7 Na 0.285 0.054 0.830 (multiplicity 1)
8 Na 0.297 0.677 0.079 (multiplicity 1)
9 Na 0.332 0.992 0.165 (multiplicity 1)
10 Na 0.335 0.339 0.661 (multiplicity 1)
11 Na 0.596 0.727 0.667 (multiplicity 1)
12 Na 0.607 0.394 0.499 (multiplicity 1)
13 Na 0.616 0.658 0.994 (multiplicity 1)
14 Na 0.625 0.023 0.244 (multiplicity 1)
15 Na 0.639 0.016 0.744 (multiplicity 1)
16 Na 0.665 0.331 0.833 (multiplicity 1)
17 Na 0.927 0.673 0.833 (multiplicity 1)
18 Na 0.934 0.059 0.330 (multiplicity 1)
19 Na 0.944 0.728 0.162 (multiplicity 1)
20 Na 0.950 0.366 0.411 (multiplicity 1)
21 Na 0.953 0.361 0.912 (multiplicity 1)
22 Zn 0.291 0.686 0.933 (multiplicity 1)
23 Zn 0.296 0.679 0.433 (multiplicity 1)
24 Zn 0.628 0.026 0.599 (multiplicity 1)
25 Zn 0.633 0.021 0.100 (multiplicity 1)
26 Zn 0.951 0.361 0.267 (multiplicity 1)
27 Zn 0.952 0.359 0.766 (multiplicity 1)
28 Si 0.327 0.318 0.504 (multiplicity 1)
29 Si 0.588 0.688 0.836 (multiplicity 1)
30 Si 0.926 0.720 0.004 (multiplicity 1)
31 Sn 0.290 0.691 0.734 (multiplicity 1)
32 Sn 0.298 0.681 0.235 (multiplicity 1)
33 Sn 0.623 0.016 0.401 (multiplicity 1)
34 Sn 0.627 0.015 0.902 (multiplicity 1)
35 Sn 0.955 0.356 0.069 (multiplicity 1)
36 Sn 0.961 0.351 0.569 (multiplicity 1)
37 P 0.252 0.055 0.670 (multiplicity 1)
38 P 0.256 0.354 0.170 (multiplicity 1)
39 P 0.296 0.388 0.836 (multiplicity 1)
40 P 0.297 0.979 0.336 (multiplicity 1)
41 P 0.328 0.024 0.005 (multiplicity 1)
42 P 0.591 0.387 0.337 (multiplicity 1)
43 P 0.628 0.311 0.003 (multiplicity 1)
44 P 0.628 0.724 0.505 (multiplicity 1)
45 P 0.660 0.649 0.169 (multiplicity 1)
46 P 0.661 0.354 0.670 (multiplicity 1)
47 P 0.919 0.022 0.501 (multiplicity 1)
48 P 0.961 0.652 0.670 (multiplicity 1)
49 P 0.962 0.056 0.172 (multiplicity 1)
50 P 0.993 0.689 0.336 (multiplicity 1)
51 P 0.995 0.982 0.837 (multiplicity 1)
52 O 0.074 0.726 0.277 (multiplicity 1)
53 O 0.074 0.859 0.781 (multiplicity 1)
54 O 0.099 0.904 0.894 (multiplicity 1)
55 O 0.101 0.665 0.392 (multiplicity 1)
56 O 0.102 0.872 0.495 (multiplicity 1)
57 O 0.117 0.695 0.997 (multiplicity 1)
58 O 0.133 0.657 0.672 (multiplicity 1)
59 O 0.133 0.873 0.172 (multiplicity 1)
60 O 0.135 0.331 0.505 (multiplicity 1)
61 O 0.139 0.160 0.331 (multiplicity 1)

**Completed:**
A plane-wave DFT calculation with meta-GGA r2SCAN was carried out for a relaxed structure of Tm6GaCo2.

a = 8.094 Å, b = 8.094 Å, c = 8.094 Å
α = 111.91°, β = 109.30°, γ = 107.23°
Atoms (fractional coordinates):
Tm (0.040, 0.238, 0.802)
Tm (0.181, 0.281, 0.462)
Tm (0.181, 0.719, 0.900)
Tm (0.327, 0.015, 0.688)
Tm (0.327, 0.639, 0.312)
Tm (0.436, 0.238, 0.198)
Tm (0.564, 0.762, 0.802)
Tm (0.673, 0.361, 0.688)
Tm (0.673, 0.985, 0.312)
Tm (0.819, 0.281, 0.100)
Tm (0.819, 0.719, 0.538)
Tm (0.960, 0.762, 0.198)
Ga (0.000, 0.000, 0.000)
Ga (0.500, 0.500, 0.000)
Co (0.115, 0.615, 0.500)
Co (0.339, 0.000, 0.339)
Co (0.661, 0.000, 0.661)
Co (0.885, 0.385, 0.500)

Properties
Uncorrected energy in eV for the cell shown: -502.47
Spin magnetization in μB/cell: 0.0
Formation energy from the elements in meV/atom: -288.9

----------

Below is an optimized crystal structure of Gd2CdSe4, with properties calculated at the GGA-PBE level.

Lattice parameters (Å, degrees): 8.705 8.705 9.079 90.00 90.00 90.00
Space group I-42d (No. 122)
Symmetry-distinct sites (fractional):
1 Gd 0.135 0.250 0.125 (multiplicity 8)
2 Cd 0.000 0.000 0.500 (multiplicity 4)
3 Se 0.068 0.192 0.814 (multiplicity 16)

## Properties
* spin magnetization: 14.000 μB per formula unit
* crystal system: tetragonal

Below is an optimized crystal structure of Na7Zn2SiSn2P5O24, with properties calculated at the GGA-PBE level.

Lattice parameters (Å, degrees): 9.047 9.050 22.102 89.79 89.60 60.01
Space group P1 (No. 1)
Symmetry-distinct sites (fractional):
1 Na 0.000 0.000 0.000 (multiplicity 1)
2 Na 0.002 0.658 0.498 (multiplicity 1)
3 Na 0.263 0.398 0.998 (multiplicity 1)
4 Na 0.265 0.012 0.497 (multiplicity 1)
5 Na 0.283 0.323 0.333 (multiplicity 1)
6 Na 0.283 0.691 0.579 (multiplicity 1)
7 Na 0.285 0.054 0.830 (multiplicity 1)
8 Na 0.297 0.677 0.079 (multiplicity 1)
9 Na 0.332 0.992 0.165 (multiplicity 1)
10 Na 0.335 0.339 0.661 (multiplicity 1)
11 Na 0.596 0.727 0.667 (multiplicity 1)
12 Na 0.607 0.394 0.499 (multiplicity 1)
13 Na 0.616 0.658 0.994 (multiplicity 1)
14 Na 0.625 0.023 0.244 (multiplicity 1)
15 Na 0.639 0.016 0.744 (multiplicity 1)
16 Na 0.665 0.331 0.833 (multiplicity 1)
17 Na 0.927 0.673 0.833 (multiplicity 1)
18 Na 0.934 0.059 0.330 (multiplicity 1)
19 Na 0.944 0.728 0.162 (multiplicity 1)
20 Na 0.950 0.366 0.411 (multiplicity 1)
21 Na 0.953 0.361 0.912 (multiplicity 1)
22 Zn 0.291 0.686 0.933 (multiplicity 1)
23 Zn 0.296 0.679 0.433 (multiplicity 1)
24 Zn 0.628 0.026 0.599 (multiplicity 1)
25 Zn 0.633 0.021 0.100 (multiplicity 1)
26 Zn 0.951 0.361 0.267 (multiplicity 1)
27 Zn 0.952 0.359 0.766 (multiplicity 1)
28 Si 0.327 0.318 0.504 (multiplicity 1)
29 Si 0.588 0.688 0.836 (multiplicity 1)
30 Si 0.926 0.720 0.004 (multiplicity 1)
31 Sn 0.290 0.691 0.734 (multiplicity 1)
32 Sn 0.298 0.681 0.235 (multiplicity 1)
33 Sn 0.623 0.016 0.401 (multiplicity 1)
34 Sn 0.627 0.015 0.902 (multiplicity 1)
35 Sn 0.955 0.356 0.069 (multiplicity 1)
36 Sn 0.961 0.351 0.569 (multiplicity 1)
37 P 0.252 0.055 0.670 (multiplicity 1)
38 P 0.256 0.354 0.170 (multiplicity 1)
39 P 0.296 0.388 0.836 (multiplicity 1)
40 P 0.297 0.979 0.336 (multiplicity 1)
41 P 0.328 0.024 0.005 (multiplicity 1)
42 P 0.591 0.387 0.337 (multiplicity 1)
43 P 0.628 0.311 0.003 (multiplicity 1)
44 P 0.628 0.724 0.505 (multiplicity 1)
45 P 0.660 0.649 0.169 (multiplicity 1)
46 P 0.661 0.354 0.670 (multiplicity 1)
47 P 0.919 0.022 0.501 (multiplicity 1)
48 P 0.961 0.652 0.670 (multiplicity 1)
49 P 0.962 0.056 0.172 (multiplicity 1)
50 P 0.993 0.689 0.336 (multiplicity 1)
51 P 0.995 0.982 0.837 (multiplicity 1)
52 O 0.074 0.726 0.277 (multiplicity 1)
53 O 0.074 0.859 0.781 (multiplicity 1)
54 O 0.099 0.904 0.894 (multiplicity 1)
55 O 0.101 0.665 0.392 (multiplicity 1)
56 O 0.102 0.872 0.495 (multiplicity 1)
57 O 0.117 0.695 0.997 (multiplicity 1)
58 O 0.133 0.657 0.672 (multiplicity 1)
59 O 0.133 0.873 0.172 (multiplicity 1)
60 O 0.135 0.331 0.505 (multiplicity 1)
61 O 0.139 0.160 0.331 (multiplicity 1)